Entry 1:
Density functional theory data (ωB97M-V/def2-TZVPD) for C5H6N2 in the gas phase at a distorted geometry.

ORCA input file:
```
! wB97M-V def2-TZVPD RIJCOSX def2/J DEFGRID3
* xyz 0 1
N 1.66672 0.78938 0.03290
N -1.09239 -1.05526 0.05189
C 0.20645 0.75963 -0.01497
C -1.10036 1.23756 -0.03991
C -1.87562 0.05323 0.01534
C 1.70475 -0.68014 0.04969
C 0.19362 -0.64139 -0.09792
H -1.53361 -1.94243 0.05486
H 2.26003 -1.16328 -0.73183
H 2.24849 1.46930 -0.44335
H -1.44963 2.29203 0.12580
H 1.81752 -1.20269 0.91971
H -3.04598 0.08405 0.07778
*
```

Results
- Kohn-Sham gap (eV) = 8.25
- SMILES string = c1cc2c([nH]1)CN2
- LUMO energy (eV) = 1.1
- total energy (Eh) = -303.51030



Entry 2:
Density functional theory data (ωB97M-V/def2-TZVPD) for 2 unconnected molecules or ions with the total composition Br3ClSi at a distorted geometry.

ORCA input file:
```
! wB97M-V def2-TZVPD RIJCOSX def2/J DEFGRID3
* xyz 0 1
Br -1.41663 -1.35850 -1.17677
Br 0.36550 -0.44842 2.79429
Br -1.07277 2.02927 -0.57811
Cl 2.08060 -0.32577 -0.69281
Si 0.04331 0.10343 -0.34659
*
```

Results
- Kohn-Sham gap (eV) = 6.91
- LUMO energy (eV) = -2.6
- total energy (Eh) = -8471.81782



Entry 3:
Density functional theory data (ωB97M-V/def2-TZVPD) for a molecular structure, C4H8AgO3 at a distorted geometry.

ORCA input file:
```
! wB97M-V def2-TZVPD RIJCOSX def2/J DEFGRID3
* xyz 0 2
Ag 2.78932 2.32970 0.34175
O 0.15239 2.45235 0.27342
O 3.33004 0.14031 0.06150
O -1.81365 1.51098 -0.07358
C -0.50760 1.50080 -0.09383
C 2.82881 -1.13260 -0.01900
C -2.47656 0.27720 -0.45422
C -2.17810 -0.84110 0.46858
H -3.54482 0.54583 -0.45361
H -2.19111 0.03808 -1.48945
H 2.39882 -1.37299 -1.01978
H -1.73776 -0.79194 1.46532
H -2.55840 -1.83210 0.21603
H -0.09617 0.42888 -0.10658
H 2.01000 -1.33536 0.71340
H 3.59479 -1.91803 0.17005
*
```

Results
- Kohn-Sham gap (alpha / beta) (eV) = 6.56 / 6.55
- LUMO energy (alpha / beta) (eV) = -0.8 / -0.8
- expectation value of S² = 0.754
- total energy (Eh) = -529.71702



Entry 4:
Density functional theory data (ωB97M-V/def2-TZVPD) for C5H9NO in the gas phase at a distorted geometry.

ORCA input file:
```
! wB97M-V def2-TZVPD RIJCOSX def2/J DEFGRID3
* xyz 0 1
O -1.92808 0.22870 0.55493
N -0.69883 0.34524 -1.35817
C 0.55308 0.93734 1.22662
C 0.55230 0.33288 -1.08739
C 1.28048 -0.95115 -1.28053
C -0.70838 -0.20938 1.14509
C -1.82743 0.35289 -0.80332
H 0.99593 0.56779 2.13830
H -0.94683 -0.28103 2.20638
H -2.76121 0.52190 -1.32761
H -0.50048 -1.24323 0.78047
H 0.01124 1.87500 1.38874
H 1.45586 1.26249 0.64037
H 2.20678 -0.98895 -0.70199
H 0.70743 -1.87957 -1.13332
H 1.56129 -0.90009 -2.34064
*
```

The reader should search the listing earlier on for the word "c1cc2c" and type out each line that has it.

- SMILES string = c1cc2c([nH]1)CN2